School Council

School Council Newsletter Report - 16 May 2024
The School Council met onsite again this month for what was a rather long and interesting set of meetings.
The Policy Subcommittee had the opportunity to sit down with our new Out of School Hours provider, Team Kids and ask them all the hard hitting questions that have been raised by our school community. They had an opportunity to present on their year so far, reflecting on challenges and discussing how they intend to deliver on their contractual obligations. Team Kids have restructured their management with an additional leadership position created to ensure activities are run, healthy food is provided and both children and parents are engaged. You should see some changes occurring as they train up staff and settle into their new space in the portable by the gym.
The finance committee reviewed the finance reports for March and April, discussing the cost of paper, CRT’s and the new audio visual screen that has been put into the gym. I can’t wait to see it in use.
Moving onto the main body of the meeting, we learned that Protective Intervention Training (which I touched on last month) will be rolled out to our wonderful Education Support Staff, which should be a great opportunity given they work with our most vulnerable kids. And on that note - a huge (belated) shout out to our ES for the amazing work that they do, it was ES appreciation day a fortnight ago.
We discussed the move to the new Victorian Curriculum with Math currently being rolled out and English to begin in 2025. All class teachers and leadership teams are working together to make sure lessons are consistent across year levels and structured to meet the learning needs of all students.
There were so many excursions and incursions presented to Council this meeting, that it left the committee a little sad they couldn't join these sporting and animal adventures. We did however approve them all - some with subsidised costs to ensure they were accessible to all families.
Although this has been said before, I want to extend a huge thank you from School Council to all the volunteers who gave up their time to make the Mother’s Day Stall a success. It is always so much fun to watch the kids “go shopping” for their loved ones and even more impressive to see the friendships form between those parents and friends who get involved.
**Calculated molecules, kept here for reference**
=====
i:
One molecule with the formula C6H9NO, computed with the ωB97M-V functional and the def2-TZVPD basis.

Geometry (Å):
H: -1.18 2.21 -0.05
H: -3.08 0.61 0.95
H: 0.84 -1.78 0.34
H: 3.57 -0.26 -0.25
H: -1.05 -0.77 -0.78
H: -2.72 -1.11 0.70
O: 1.32 2.37 0.02
C: 1.53 -1.25 -0.23
N: 1.37 0.13 -0.21
C: 0.78 1.31 -0.13
C: -1.49 0.10 -0.32
C: 2.65 -0.33 0.27
H: -3.64 -0.33 -0.42
C: -0.74 1.24 -0.34
C: -2.83 -0.16 0.24
H: 2.89 -0.32 1.34
H: 1.78 -1.64 -1.15

## Properties
HOMO ... -9.328 eV
Gap between HOMO and LUMO ... 10.15 eV
SMILES string ... C/C=C/C(=O)N1CC1
Spin multiplicity ... 1
LUMO energy ... 0.819 eV


ii:
One molecule with the formula C6H9NO, computed with the ωB97M-V functional and the def2-TZVPD basis.

Geometry (Å):
C: 0.37 -0.40 1.56
H: -0.65 -0.76 1.62
H: -3.73 -0.05 -0.82
C: 1.21 -0.54 0.18
O: -0.49 2.13 0.01
H: 3.04 -1.06 -0.69
H: -2.99 1.48 -1.59
C: 2.42 -1.06 0.20
C: -2.87 0.59 -0.97
C: 0.54 0.15 -0.96
H: 2.83 -1.50 1.09
H: 0.47 0.62 1.93
H: 0.87 -1.07 2.26
N: -1.79 0.26 -0.42
H: 0.12 -0.59 -1.65
H: 1.23 0.83 -1.46
C: -0.60 0.97 -0.32

## Properties
HOMO ... -9.506 eV
Gap between HOMO and LUMO ... 10.01 eV
SMILES string ... C=NC(=O)CC(=C)C
Spin multiplicity ... 1
LUMO energy ... 0.500 eV


iii:
One molecule with the formula C6H9NO, computed with the ωB97M-V functional and the def2-TZVPD basis.

Geometry (Å):
C: -0.19 0.72 -0.14
H: 0.49 1.04 2.31
H: -0.75 2.60 0.20
C: -0.86 -2.91 -2.06
C: -0.17 -2.11 -1.21
H: -1.90 -3.23 -1.74
H: -0.80 -0.37 1.62
H: -0.17 -3.46 -2.76
C: -0.01 1.95 0.58
H: 0.92 -1.95 -1.19
H: -0.22 0.58 -1.23
C: -0.45 -0.44 0.57
H: 1.52 3.39 1.14
C: 1.26 2.37 0.99
O: -0.82 -1.64 -0.04
H: 1.94 1.55 0.93
N: 0.21 1.93 2.02

## Properties
HOMO ... -8.711 eV
Gap between HOMO and LUMO ... 9.76 eV
SMILES string ... C=CO/C=C/[C@@H]1CN1
Spin multiplicity ... 1
LUMO energy ... 1.050 eV


The computed energies, referenced to the most stable structure and given in eV, are i 0.996; ii 0.000; iii 2.004.


i:
One molecule with the formula C6H9NO, computed with the ωB97M-V functional and the def2-TZVPD basis.

Geometry (Å):
H: -0.72 2.92 0.73
C: 1.55 0.36 -1.64
H: -1.33 -2.04 1.85
H: 0.32 -1.42 1.97
C: -0.62 -1.19 0.02
H: 2.62 0.32 -1.80
H: 0.90 0.45 -2.51
N: -0.45 2.45 -0.12
C: 1.00 0.28 -0.42
H: 0.32 2.91 -0.59
C: -1.30 0.15 0.20
H: 1.63 0.13 0.45
C: -0.38 -1.95 1.32
H: -2.31 0.27 0.57
H: -0.01 -2.95 1.10
O: -0.79 -1.79 -1.06
C: -0.42 1.10 -0.05

## Properties
HOMO ... -8.630 eV
Gap between HOMO and LUMO ... 8.85 eV
SMILES string ... C=C/C(N)=C\C(C)=O
Spin multiplicity ... 1
LUMO energy ... 0.225 eV


ii:
A 3-piece molecular cluster, C6H9NO overall, computed with the ωB97M-V functional and the def2-TZVPD basis.

Geometry (Å):
C: 2.00 0.78 -1.18
C: -0.89 -0.14 -1.03
H: -2.29 0.08 2.55
H: -0.55 1.46 -2.26
H: 1.60 -1.43 -1.41
N: 1.57 0.45 -0.02
C: 0.15 0.28 0.01
H: 3.02 -0.94 -0.36
H: -2.46 -0.22 -0.24
C: -1.95 -0.10 1.55
H: 1.24 0.70 -2.07
H: 0.20 0.31 2.20
H: -0.10 -1.83 -1.51
H: 2.89 1.45 -1.19
O: -2.71 -0.56 0.65
C: -0.35 0.14 1.35
=====
Finally, I would like to acknowledge our Principal Sue Seneviratne, who I have had the pleasure of knowing for the last 7 years. Being on School Council has opened my eyes to the complexity of running a school, particularly one the size of WVPS. However, Sue invited me to participate in the recent school review, which allowed me to observe classrooms and professional learning meetings, and participate in focus groups with students, parents, ES’s, teachers and leaders. It was a deep dive that looked at both our success and our struggles as Sue and her team reflected on the last 4 years and began work on a plan for the next 4. Sue should take pride in this wonderful school she helped create, she never once shied away from challenging conversations or acknowledging where we could be doing more.
In just a few weeks Sue will begin 6 months of long service leave as she contemplates a life a little less noisy. So on behalf of the School Council and the school community, I’d like to thank her for her passionate leadership, for the playgrounds and footpaths, the camps, the toilets and the OVAL. For taking the time to know our kids and impart some pretty worthwhile values into their lives while balancing budgets and work around covid and teacher shortages. Thank you for all of those wonderful book week costumes, for that one school production that had the principals in pyjamas and the audience in hysterics and for the joy you brought both kids and teachers as you braved the dunk tank at the Community Picnic! You will be missed.